<<<
# SmErB4

A relaxed structure of SmErB4 (PBE-GGA, OQMD).

Structure (POSCAR):
```
SmErB4
1.0
3.2985 0.0000 0.0000
-1.6493 2.8566 0.0000
0.0000 0.0000 7.8394
Sm Er B
1 1 4
Cartesian
0.0000 0.0000 0.0000
0.0000 0.0000 3.9197
0.0000 1.9044 2.0391
0.0000 1.9044 5.8002
1.6493 0.9522 2.0391
1.6493 0.9522 5.8002
```

## Properties
The calculated total energy comes out at -39.03 eV for the cell shown. The calculation puts the spin magnetization at 0.0 μB/f.u. Its space group is P6/mmm. For the distance to the lowest polymorph of the same formula, the calculation gives 0.000 eV/atom.

***

# SmTmGe2

A relaxed structure of SmTmGe2 (PBE-GGA, OQMD).

Structure (POSCAR):
```
SmTmGe2
1.0
3.2416 0.0000 0.0000
0.0000 2.9329 5.7354
0.0000 -2.9329 5.7354
Sm Tm Ge
1 1 2
Cartesian
0.0000 0.0000 0.0000
0.0000 0.0000 3.3939
0.0000 0.0000 6.1696
0.0000 0.0000 8.6247
```

## Properties
The calculated total energy comes out at -18.22 eV for the cell shown. The calculation puts the spin magnetization at 0.0 μB/f.u. Its space group is Amm2.

***

# Gd4Hf3Tl

A relaxed structure of Gd4Hf3Tl (PBE-GGA, OQMD).

Structure (POSCAR):
```
Gd4Hf3Tl
1.0
6.2253 -5.4708 0.0000
6.2253 5.4708 0.0000
-0.8547 0.0000 3.1667
Gd Hf Tl
4 3 1
Cartesian
3.8485 2.7586 2.7475
7.7475 2.7586 0.4192
3.8485 -2.7586 2.7475
7.7475 -2.7586 0.4192
-0.4273 0.0000 1.5833
2.8867 0.0000 0.7870
8.7092 0.0000 2.3797
6.2253 0.0000 0.0000
```

## Properties
The calculated total energy comes out at -49.16 eV for the cell shown. The calculation puts the spin magnetization at 0.0 μB/f.u. Its space group is C2/m.

***

# GaFeTcNi

A relaxed structure of GaFeTcNi (PBE-GGA, OQMD).

Structure (POSCAR):
```
GaFeTcNi
1.0
0.0000 2.9546 2.9546
2.9546 0.0000 2.9546
2.9546 2.9546 0.0000
Ga Fe Tc Ni
1 1 1 1
Cartesian
0.0000 0.0000 0.0000
2.9546 2.9546 2.9546
4.4319 4.4319 4.4319
1.4773 1.4773 1.4773
```

## Properties
The calculated total energy comes out at -27.56 eV for the cell shown. The calculation puts the spin magnetization at 3.5 μB/f.u. Its space group is F-43m. For the distance to the lowest polymorph of the same formula, the calculation gives 0.000 eV/atom.

***

# ZnCl2

A relaxed structure of ZnCl2 (PBE-GGA, OQMD).

Structure (POSCAR):
```
ZnCl2
1.0
6.0324 0.0000 0.0000
0.0000 6.0324 0.0000
0.0000 0.0000 3.5762
Zn Cl
2 4
Cartesian
0.0000 0.0000 0.0000
3.0162 3.0162 1.7881
1.1456 1.1456 1.7881
1.8706 4.1618 0.0000
4.1618 1.8706 0.0000
4.8868 4.8868 1.7881
```

## Properties
The calculated total energy comes out at -16.05 eV for the cell shown. Its space group is P4_2/mnm.

***

# HoPPbO

A relaxed structure of HoPPbO (PBE-GGA, OQMD).

Structure (POSCAR):
```
HoPPbO
1.0
4.7083 0.0000 0.0000
0.0000 6.9011 0.0000
0.0000 0.0000 6.2853
Ho P Pb O
2 2 2 2
Cartesian
0.0000 0.9817 0.0000
0.0000 5.9194 3.1426
2.3541 2.0695 5.4980
2.3541 4.8316 2.3554
2.3541 2.0513 2.6303
2.3541 4.8499 5.7730
0.0000 0.8710 2.1247
0.0000 6.0301 5.2674
```

## Properties
The calculated total energy comes out at -48.15 eV for the cell shown. The calculation puts the spin magnetization at 0.0 μB/f.u. Its space group is Pmc2_1. For the distance to the lowest polymorph of the same formula, the calculation gives 0.069 eV/atom.

***

Question: Number 6 is which compound?
Answer: HoPPbO


No. 1
Entry from Alexandria: a relaxed CaAc2Tb crystal (PBE-GGA).

Relative energy among the computed polymorphs (meV per atom): 35
Density of states at the Fermi level (states/eV per atom): 1.3880
Energy relative to the elements (eV per atom): 0.08

a = 5.6377 Å, b = 5.6377 Å, c = 5.0578 Å
α = 90.00°, β = 90.00°, γ = 90.00°
With the nearest neighbours (Å) after each atom.
Space group P4/mmm (No. 123)
Unique sites:
Ca1 0.0000 0.0000 0.0000 [1 per cell]  8 Ac 3.79, 4 Tb 3.99
Ac1 0.0000 0.5000 0.5000 [2 per cell]  4 Tb 3.79, 4 Ca 3.79, 4 Ac 3.99
Tb1 0.5000 0.5000 0.0000 [1 per cell]  8 Ac 3.79, 4 Ca 3.99

=====

No. 2
Entry from Alexandria: a relaxed CaAc2Tb crystal (PBE-GGA).

Relative energy among the computed polymorphs (meV per atom): 2
>>>
Type out every line further above that contains the word "group".
The calculated total energy comes out at -39.03 eV for the cell shown. The calculation puts the spin magnetization at 0.0 μB/f.u. Its space group is P6/mmm. For the distance to the lowest polymorph of the same formula, the calculation gives 0.000 eV/atom.
The calculated total energy comes out at -18.22 eV for the cell shown. The calculation puts the spin magnetization at 0.0 μB/f.u. Its space group is Amm2.
The calculated total energy comes out at -49.16 eV for the cell shown. The calculation puts the spin magnetization at 0.0 μB/f.u. Its space group is C2/m.
The calculated total energy comes out at -27.56 eV for the cell shown. The calculation puts the spin magnetization at 3.5 μB/f.u. Its space group is F-43m. For the distance to the lowest polymorph of the same formula, the calculation gives 0.000 eV/atom.
The calculated total energy comes out at -16.05 eV for the cell shown. Its space group is P4_2/mnm.
The calculated total energy comes out at -48.15 eV for the cell shown. The calculation puts the spin magnetization at 0.0 μB/f.u. Its space group is Pmc2_1. For the distance to the lowest polymorph of the same formula, the calculation gives 0.069 eV/atom.
Space group P4/mmm (No. 123)